I might call this a coffee table book because it’s beautifully rendered and fun, and because it seems meant to be displayed and shared with friends. But it’s more than a coffee table book, and it’s neither big, nor expensive, nor showy. Instead, it’s a set of lessons.
Herbana Witch is organized around the four seasons, featuring lore about plants and instructions for doing and making things in sync with winter, spring summer, and fall.
An herbana witch may live near a forest as author Ceilia Lattari does, or in an urban location, revering nature just as much. An herbana witch is someone who lives on the edge, in “a space on the threshold, a place of possibility, where we can see things from a different perspective…. The edge is thus a space that stands in opposition to the tenets of the majority.”
This kind of different perspective comes to mind now as I’m reading this book in the winter season in Earth’s northern hemisphere. Mainstream society promotes a hurry-up attitude about getting things done before the end of the calendar year. Nature’s got a different perspective. “In winter,” Lattari writes: “do as the forest does: rest.”
In her section on winter, Lattari honors the oak tree. It’s “majestic and old, a threshold tree between autumn and winter.” She’s got a recipe for making bread out of ground up acorns, another one for making a respiratory balm using essential oil of pine, another for a winter incense and for candles made out of soy wax. Winter’s totem animal is Wolf, an edge being, familiar like a dog, but also unfamiliar and wild.
• Someone pasted molecular data at this point:
- - -
# C34H43IN3O31S

A 11-piece molecular cluster, C34H43IN3O31S overall at a distorted geometry (ωB97M-V/def2-TZVPD, the OMol25 dataset).

Output
E_HOMO   -0.444 Ha
2S+1   1
DFT total energy   -4513.74396 Ha
Net charge   +1
LUMO   -0.1368 Ha

The geometry in XYZ format:
```
113
Properties=species:S:1:pos:R:3:forces:R:3
O 4.31455 -1.87259 1.18603 -2.74 2.89 -1.59
C 3.31340 -0.90238 0.86148 -0.43 0.05 -0.30
N 3.30076 0.46512 1.36292 -1.49 -2.98 -2.10
C 2.13083 1.20305 0.87513 -1.23 -5.28 -2.87
I 1.41389 3.21211 1.20660 0.78 -1.95 -0.11
C 1.45761 0.11839 0.01478 0.71 1.49 1.14
N 0.20179 0.14169 -0.76050 -2.32 -2.26 4.18
C -0.71469 -0.48016 -0.03527 1.50 -0.12 0.76
S -1.63588 -1.34971 1.05786 2.45 2.75 -3.64
N 2.16408 -1.16037 0.00270 2.90 4.75 3.76
H 4.40728 -2.43467 0.36214 -0.40 0.30 0.59
H 4.03004 0.85820 1.97903 -0.57 -0.57 -0.58
H 1.90778 -2.03480 -0.49914 0.54 0.87 0.47
C -3.69569 2.36654 0.79945 -0.44 -0.88 -0.50
C -4.09751 3.77044 0.47036 -0.70 0.17 -0.75
O -3.59042 4.51603 1.57151 0.73 -0.35 0.59
C -2.56960 3.79524 2.10798 0.50 0.29 0.35
O -1.81252 4.21008 2.94898 -0.56 -0.38 -0.79
O -2.51343 2.54550 1.57210 0.33 0.88 0.51
H -3.49204 1.77108 -0.09158 0.13 0.08 0.31
H -4.44150 1.84908 1.40912 0.07 0.06 -0.06
H -3.63002 4.13570 -0.44905 0.01 -0.01 0.07
H -5.17916 3.88533 0.38761 0.17 0.09 0.14
C -4.09373 -1.34858 -2.18408 0.75 -1.02 -0.10
C -5.28887 -1.25026 -3.07620 -0.08 -0.74 -1.05
O -6.17166 -0.41158 -2.34419 0.41 0.78 1.00
C -5.40685 0.32850 -1.49849 -0.58 0.30 0.06
O -5.81385 1.25806 -0.85129 0.33 -0.61 -0.42
O -4.11950 -0.11559 -1.47709 -0.67 0.62 0.20
H -3.16393 -1.45612 -2.74311 -0.13 0.21 0.12
H -4.17393 -2.17030 -1.46585 -0.13 0.09 0.01
H -5.05957 -0.77171 -4.03188 0.00 -0.05 0.12
H -5.74626 -2.22234 -3.26667 -0.12 0.19 0.12
C -4.06132 4.18497 6.38325 0.62 0.56 0.29
C -4.49863 3.84825 4.99116 0.26 0.39 -0.85
O -5.19369 2.62105 5.15899 -0.15 -0.12 0.56
C -5.61454 2.57408 6.45409 -0.83 -0.82 0.58
O -6.37292 1.75426 6.88909 0.72 0.74 -0.44
O -5.06298 3.57961 7.18888 -0.31 -0.45 -0.39
H -4.01934 5.26113 6.55859 -0.11 -0.16 0.13
H -3.09146 3.74592 6.63530 -0.06 0.01 -0.04
H -5.18775 4.59125 4.57830 0.03 -0.04 0.06
H -3.65660 3.72754 4.30808 -0.21 -0.11 0.20
C -1.51974 0.80488 -4.80533 0.85 0.40 0.76
C -1.80365 1.22858 -6.21181 0.28 0.82 -0.34
O -2.33707 0.04876 -6.80125 -0.32 -0.64 0.57
C -2.84158 -0.71004 -5.79121 -0.43 -0.78 -0.49
O -3.51319 -1.69248 -5.95081 0.50 0.82 0.29
O -2.48729 -0.21196 -4.57422 -0.41 -0.35 -0.65
H -1.63707 1.61988 -4.09339 -0.09 -0.32 -0.08
H -0.52092 0.37454 -4.69148 -0.13 -0.06 -0.09
H -2.55310 2.02005 -6.26701 0.10 -0.19 0.00
H -0.90473 1.55464 -6.73770 -0.12 -0.20 -0.05
C 7.08870 -3.10662 2.93605 -0.88 -0.07 -0.10
C 7.99185 -1.93172 3.15576 -0.17 0.90 -0.05
O 9.14715 -2.51850 3.73766 -0.11 -0.55 -0.16
C 9.16433 -3.82757 3.35745 1.10 -0.92 0.15
O 10.08712 -4.57021 3.53496 -0.92 0.74 -0.11
O 7.99779 -4.18111 2.74990 0.52 0.20 0.15
H 6.44963 -2.98326 2.06058 0.15 -0.19 0.06
- - -
By spring it’s time for things to sprout, time of the fertile hare, time to hear and observe with one’s senses, including intuition, the sixth sense. At summer, it’s time to nurture, to “exercise willpower and precision, and learn how to receive things wholeheartedly, filling yourself with sunshine and radiance.” By autumn, it’s time again to slow down. Plants in autumn focus their energies on their roots. In the fall, one gathers and ferments.
### Inserted here: data records
********
Record 1
Here is a cluster of 5 separate species, C30H59Br2FNO12P2 in total from the OMol25 dataset. Energies are from ωB97M-V with the def2-TZVPD basis set.

The charge is -1. As for the multiplicity: 1. The calculation puts the max |F| at 0.925 eV Å⁻¹. The value obtained for the LUMO energy is 1.813 eV. Its molar mass is 866.551 g mol⁻¹.

Each line ends with the Löwdin charge.
Geometry (Å):
C1 4.373 5.189 3.069  -0.07
C2 3.584 4.223 2.196  -0.24
O1 4.502 3.476 1.342  -0.21
P1 4.085 2.727 -0.001  0.46
O2 4.981 1.610 -0.338  -0.28
C3 2.376 2.169 0.161  -0.20
C4 1.249 3.201 0.062  -0.21
C5 -0.092 2.835 0.708  -0.15
C6 -0.146 2.849 2.245  -0.51
C7 0.090 4.257 2.835  -0.17
O3 0.326 5.184 1.810  -0.18
C8 -0.105 6.498 2.105  -0.33
C9 0.839 7.266 3.090  -0.67
O4 1.928 6.721 3.328  -0.02
O5 0.339 8.350 3.485  -0.05
C10 -0.265 7.244 0.800  -0.62
Br1 1.380 7.121 -0.252  0.92
C11 -1.484 6.721 0.014  -0.74
C12 -1.387 6.547 -1.489  -0.20
Br2 -2.987 7.941 0.383  0.68
N1 0.884 1.944 2.758  0.02
F1 0.603 1.787 4.154  -0.12
P2 -1.827 2.228 2.879  0.92
O6 -2.727 2.996 1.716  -0.28
O7 -1.774 0.683 2.298  -0.31
O8 4.091 3.839 -1.152  -0.20
C13 3.836 5.241 -0.941  -0.33
C14 4.333 5.995 -2.155  -0.08
H1 4.049 6.215 2.894  0.06
H2 5.434 5.118 2.829  0.07
H3 4.219 4.988 4.127  0.07
H4 2.872 4.780 1.595  0.07
H5 3.025 3.498 2.787  0.10
H6 2.348 1.598 1.086  0.07
H7 2.297 1.448 -0.660  0.10
H8 1.052 3.381 -0.999  0.12
H9 1.534 4.163 0.473  0.05
H10 -0.452 1.878 0.317  0.11
H11 -0.799 3.593 0.379  0.10
H12 0.962 4.202 3.496  0.12
H13 -0.750 4.579 3.467  0.12
H14 -1.117 6.454 2.535  0.15
H15 -0.363 8.296 1.052  0.07
H16 -1.796 5.785 0.477  0.07
H17 -0.974 7.439 -1.960  0.06
H18 -2.381 6.380 -1.902  0.06
H19 -0.756 5.689 -1.723  0.06
H20 0.669 1.006 2.416  0.11
H21 -3.645 3.045 2.008  0.05
H22 -1.714 0.661 1.336  0.04
H23 4.364 5.574 -0.048  0.12
H24 2.764 5.386 -0.811  -0.03
H25 5.342 5.658 -2.400  0.08
H26 4.370 7.063 -1.941  0.07
H27 3.696 5.814 -3.021  0.08
C15 -4.315 -3.086 2.327  -0.17
C16 -5.584 -3.350 1.529  -0.17
C17 -6.296 -2.006 1.616  -0.21
O9 -5.262 -1.020 1.690  -0.14
C18 -3.999 -1.655 1.929  -0.21
H28 -3.509 -3.775 2.078  0.10
H29 -4.509 -3.152 3.400  0.11
H30 -5.320 -3.578 0.496  0.10
H31 -6.180 -4.175 1.920  0.11
H32 -6.922 -1.940 2.513  0.11
H33 -6.919 -1.792 0.745  0.11
H34 -3.410 -1.631 1.004  0.11
H35 -3.459 -1.101 2.693  0.10
C19 -1.602 -5.705 -1.682  -0.17
C20 -2.852 -6.167 -2.428  -0.17
C21 -3.939 -5.950 -1.381  -0.20
O10 -3.507 -4.845 -0.587  -0.16
C22 -2.139 -4.533 -0.877  -0.19
H36 -0.785 -5.417 -2.343  0.10
H37 -1.238 -6.488 -1.013  0.12
H38 -3.029 -5.523 -3.292  0.12
H39 -2.796 -7.194 -2.784  0.10
H40 -4.045 -6.830 -0.735  0.12
H41 -4.914 -5.720 -1.812  0.12
H42 -2.110 -3.606 -1.461  0.12
H43 -1.598 -4.374 0.053  0.10
C23 1.258 -8.046 -4.506  -0.16
C24 1.166 -6.593 -4.968  -0.16
C25 -0.220 -6.560 -5.601  -0.20
O11 -1.009 -7.505 -4.877  -0.15
C26 -0.171 -8.307 -4.046  -0.21
H44 1.989 -8.208 -3.714  0.11
H45 1.514 -8.696 -5.346  0.11
********
Lattari teaches that knowing “signatures” is key to working with the seasons. It’s “the art of knowing how to observe the signs and symbols of the natural world, and connecting them to humans, to find healing relationships, find balance and heal,” Lattari writes. “The herbana witch is the goddess of small things.” She gives the example of the St. John’s Wort plant. Its signature is leaves that look like they’re perforated, and it’s a plant for healing wounds.
Resting, sprouting, nurturing, gathering-- round and round with the months-long seasons of one’s own locale. You can read Herbana Witch as a kind of cook book for doing things in sync with Nature’s cycles. All the ways of doing, though, are also ways of being, day by day, in any season.
~review by: Sara R. Diamond
Author: Cecilia Lattari
Quantum chemistry results that have nothing to do with the text =
~~~
Below is a molecular structure, C4H14N3SW at a distorted geometry, with properties calculated with the ωB97M-V functional and the def2-TZVPD basis.

Results
**Energy relative to the best compared isomer or geometry (same formula, charge and spin)**: 99.84 kJ/mol
**Multiplicity**: 3
**Charge**: +1
**Frontier orbital gap (alpha / beta)**: 6.7 / 5.9 eV
**Maximum force**: 5.21 eV/A

Each line ends with the Mulliken spin population.
Positions of all 23 atoms, in Å:
C (-1.45, -0.57, -1.08)  0.0569
W (0.55, 0.33, -0.47)  1.7684
N (1.94, 1.03, -1.89)  0.0518
H (0.92, -1.12, 0.36)  -0.0130
H (-1.32, 0.52, -0.69)  -0.0131
H (-2.23, -1.00, -0.39)  0.0240
H (-0.74, -1.41, -1.12)  -0.0202
H (-1.78, -0.34, -1.97)  -0.0200
H (2.93, 0.70, -1.82)  0.0184
H (2.05, 2.06, -1.98)  0.0253
H (1.70, 0.78, -2.89)  0.0085
S (0.52, 1.30, 1.55)  0.0715
C (0.06, 0.33, 3.01)  0.0213
N (0.93, -0.34, 3.74)  0.0020
C (0.32, -0.88, 4.94)  0.0012
C (-1.13, -0.41, 4.82)  0.0022
N (-1.12, 0.30, 3.56)  0.0101
H (1.90, -0.51, 3.43)  0.0022
H (0.81, -0.47, 5.83)  -0.0001
H (0.40, -1.97, 4.95)  -0.0004
H (-1.39, 0.27, 5.65)  -0.0003
H (-1.82, -1.25, 4.82)  0.0002
H (-1.96, 0.77, 3.14)  0.0030


# 1
Molecular formula: C10H6O3
Method: DFT, ωB97M-V/def2-TZVPD

```
! RIJCOSX wB97M-V def2-TZVPD def2/J DEFGRID3
* xyz 0 1
O 1.320 2.135 0.097
O 4.526 -0.340 -0.107
O 0.574 -1.663 -0.277
C 1.746 -1.390 -0.256
C -2.746 0.815 -0.074
C -1.515 1.474 -0.396
C 1.021 0.892 -0.135
C 2.156 -0.084 -0.371
C -0.510 -0.802 -0.417
C 3.622 0.351 0.343
C -2.940 -0.566 0.229
C -1.916 -1.330 0.180
C -0.368 0.550 -0.468
H -2.116 -2.440 0.707
H 2.438 -2.185 -0.134
H -3.885 -0.929 0.921
H -1.446 2.543 -0.421
H -3.596 1.400 -0.404
H 3.638 1.571 0.984
*
```

# 2
Molecular formula: C33H37N10O2S2Ti
Method: DFT, ωB97M-V/def2-TZVPD

```
! RIJCOSX wB97M-V def2-TZVPD def2/J DEFGRID3
* xyz 3 1
Ti -0.488 0.292 0.748
S 0.364 0.824 -2.490
S 2.056 0.901 1.133
O 1.369 -0.165 -2.184
O 0.656 2.221 -2.420
N 0.438 -1.649 0.829
N -2.459 1.963 -2.131
N -0.739 0.567 -1.166
N -2.151 -1.156 0.894
N -0.941 0.160 2.939
N -2.339 1.362 0.153
N 4.583 0.018 1.183
N -2.001 -0.594 -7.636
N -0.188 2.338 1.395
N 3.451 -0.779 -0.517
C -0.897 -1.265 -5.620
C 1.407 -3.328 -0.582
C -0.410 0.400 -3.951
C -1.519 1.059 -5.977
C -3.676 -2.705 -0.097
C 0.120 3.683 3.343
C -4.149 -3.062 1.161
C 0.826 4.483 1.199
C -1.904 1.349 -1.113
C -3.449 2.048 0.432
C -1.489 -0.275 -6.439
C 1.991 -3.205 1.727
C 5.582 -0.780 0.458
C -2.625 -1.478 2.101
C -0.990 1.389 -4.759
C 2.162 -3.792 0.483
C -0.366 2.558 2.709
C 0.721 4.670 2.568
C -0.359 -0.927 -4.407
C -2.682 -1.755 -0.188
C -3.571 2.645 -1.853
C 0.746 -1.729 3.296
C 4.932 0.674 2.429
C 1.105 -2.147 1.889
C -3.618 -2.434 2.271
C 3.412 -0.026 0.571
C -1.221 1.546 3.410
C 0.398 3.288 0.648
C -4.119 2.713 -0.576
C 0.552 -2.269 -0.358
C 4.816 -1.236 -0.798
C 0.295 -0.319 3.646
C -2.092 -0.721 3.284
H 2.514 -3.588 2.592
H -1.115 1.609 4.496
H -3.798 2.057 1.457
H 1.460 -3.776 -1.564
H -0.993 2.416 -4.429
~~~
Red Wheel/Weiser, 2023
160 pages, $18.95